After a long season of training, you may be taking some time off during the winter. But that doesn’t mean you can’t get better at your sport of choice during this time. What can you do off-season to help preserve your performance and keep you in shape? The answer is strength training.
-- What comes next are data records, not part of the entry --
____________
Record 1
Formula: C5H8FHgO4
Source: OMol25
Level of theory: ωB97M-V with the def2-TZVPD basis set

Cartesian coordinates (Å):
C -1.63913 5.58551 2.45618
H -2.27416 5.61631 1.55697
O -0.40574 3.65239 1.67451
O 4.02821 -0.04772 0.63758
F 1.11509 1.88578 3.01195
H 2.55208 3.71196 1.88326
C -0.28538 4.95907 2.13529
O 1.96459 0.45070 1.30970
C 3.23291 0.71337 1.17645
C 2.40967 2.84059 1.23685
H 0.42805 1.76631 0.87598
H 0.34504 4.99931 3.05333
C 1.18260 2.02559 1.63570
H -1.51708 6.61580 2.82747
Hg 3.54049 -2.50153 0.36729
O 3.53816 1.98061 1.41321
H 0.23013 5.60816 1.39033
H -2.16316 4.99956 3.22692
H 2.35273 3.12847 0.18078

Calculated values
Charge: 0
HOMO level (alpha / beta) (eV): -7.5 / -7.5
E (eV): -20392.9301
Kohn-Sham gap (alpha / beta) (eV): 7.77 / 4.41
2S+1: 2



Record 2
Formula: C8HF5MgN9S
Source: OMol25
Level of theory: ωB97M-V with the def2-TZVPD basis set

Cartesian coordinates (Å):
Mg 0.95192 0.22255 -0.00015
C -4.06184 -2.17815 0.00012
N -0.37867 2.96764 -0.00020
C -1.98973 -1.01985 0.00002
C -1.23381 -2.18102 -0.00009
C 3.64568 1.54755 0.00007
F -1.35076 -4.54329 -0.00020
H 3.73477 3.58955 0.00009
F -1.33710 0.17446 0.00002
N 2.93421 0.41841 0.00001
N 5.03609 -0.03194 0.00017
N 3.87573 -0.57247 0.00007
F -4.02852 0.17398 0.00024
C -3.36856 -0.98328 0.00013
N 3.09755 2.81354 0.00004
S 0.51817 -2.15836 -0.00021
C -3.35578 -3.36690 0.00001
C -1.97327 -3.36045 -0.00010
C 1.75336 3.11238 -0.00006
F -4.02390 -4.52517 -0.00001
N -0.04938 4.20324 -0.00016
N 4.94156 1.32208 0.00017
N 1.29793 4.34784 -0.00008
F -5.39895 -2.18430 0.00021
N 0.76332 2.21195 -0.00014

Calculated values
Charge: -1
HOMO level (eV): -5.6
E (eV): -51593.7573
Kohn-Sham gap (eV): 7.86



Record 3
Formula: C8H8BF3N2OSSeTi
Source: OMol25
Level of theory: ωB97M-V with the def2-TZVPD basis set

Cartesian coordinates (Å):
N -0.11283 1.49080 -1.97110
H 3.80241 0.41595 -2.26063
H 4.78160 1.23149 1.83506
C 4.18029 0.91086 -0.20073
H 3.83772 -3.45690 -0.29460
C 6.05800 -0.17233 0.81857
O -0.21538 2.35432 0.32122
H 3.91201 -2.85466 1.64350
H 2.40737 -4.06706 1.00915
C 2.36664 -1.95074 0.35516
S -0.71906 2.55644 -1.11354
F -1.00838 -1.10254 -0.85072
F -1.12242 -1.08383 1.32681
F -2.21001 0.39960 0.19158
Se 2.71773 2.11977 -0.02704
C 5.50408 -0.63163 -1.47476
C -1.04743 -0.28837 0.25795
B 3.20255 -3.19381 0.71259
N 1.73850 -1.00372 0.08312
C 4.98933 0.71288 0.90879
Ti 0.79686 0.65588 -0.32749
H 6.68454 -0.34222 1.68458
C 6.31316 -0.84394 -0.36592
H 5.69964 -1.16039 -2.39877
H 7.13758 -1.54202 -0.42414
C 4.43441 0.24785 -1.39767

Calculated values
Charge: 0
HOMO level (eV): -9.2
E (eV): -121577.5390
Kohn-Sham gap (eV): 6.43



Record 4
Formula: C11H14
Source: OMol25
Level of theory: ωB97M-V with the def2-TZVPD basis set

Cartesian coordinates (Å):
H 0.29106 -1.93847 2.10653
C -1.63911 1.32575 -0.34724
H 2.87619 -2.56501 0.27936
C -0.64317 0.24011 0.15001
H 1.85379 -1.71285 -1.66760
C -1.37328 2.78380 -0.75487
H -0.34845 2.99453 -0.91872
H 0.53746 -3.05400 0.71605
____________
-- End of the data records --
A vital part of a great sports performance is pulling back from the sport and engaging in other forms of exercise. Instead of worrying about missing long-distance runs, focus on strength training to benefit your overall performance. Here’s why strength training in the off-season is valuable and what kind of exercises you should incorporate into your routine.
Strength Training as a Foundation
Strength training is an effective way to build a foundation for any sport you plan on partaking in. The goal is to target weak muscles that may feel painful at the end of your racing or sports training season, whether that’s in the hips, glutes, hamstrings or another area. If athletes and active exercisers address these issues, their bodies will be able to handle the hard work ahead of them when they pick their sport back up. Thankfully, you don’t have to go to the gym every day as the American College of Sports Medicine recommends dedicating two to three days per week for an optimal routine.
Strength Training Exercises
In the off-season, it’s important to start with the basics and build your way up to the more challenging exercises. Trainees should begin with basic movements. These four exercises can help anyone who wants to get stronger in the off-season and ensure steady progress.
If you’re a newcomer to strength training, it might be helpful to start these exercises without weights and gradually add in five to ten-pound dumbbells, a light barbell or a ten-pound kettlebell as you get stronger. Increase the weight once comfortable with the routine and can perform reps and sets without getting tired. Aim for four to eight reps for each exercise. The heavier you lift, the lower your rep count (until you build up the strength.) Include three to four sets for each rep.
Bulgarian Split Squats
Why: This exercise is a great exercise to target the quads, hamstrings, calves, glutes and core. These muscles are especially vital for running. The unilateral (one-sided) exercise is great for strengthening each side of the body. This helps avoid any muscle imbalances that could lead to injuries.
How: Start by standing in front of an sturdy, raised object like a chair, step, or bench and face away from it. Step far away from the object so you can comfortably rest the top of your back foot on it. Lower the body down into a lunge, bend the knee 90 degrees while the back knee hovers just above the floor. If your front knee extends beyond the toe, move the front foot forward more. Drive your weight through the front foot to stand back up. Repeat and switch sides. Remember to keep your core tight and your chest tall.
Why: Deadlifts are a movement that we perform in everyday life and on runs. They work our posterior chain—i.e., the glutes, hamstrings, lower and upper back muscles. They also give a great workout to the abs; all of these body parts are essential for good running form.
How: Start by standing with your feet apart. Move the hips by sending your butt backward and knees bent slightly. Keep your back flat and keep your shoulders down and away from your ears. Use a barbell or set of dumbbells while driving your feet into the floor and engaging the glutes to stand back up. Repeat and make sure to engage the core the entire time, so you don’t strain the lower back.
Glute Bridge
Why: This classic strength training exercise is excellent for runners. It’s designed to strengthen and tone the glutes and hamstrings, which help support efficient running mechanics.
How: Lie faceup, bend the knees with your feet planted on the ground. Place your arms to your side on the floor with the palms facing down. Keep your feet on the floor and squeeze your glutes while lifting the hips upward. Pause, then lower the hips back to the floor. Repeat this exercise and remember to engage the core. Remember to avoid arching your lower back. When you move your hips down, your back should be flat on the floor. A pelvis tilt toward the sky helps maintain the position.
Kettlebell Swing
Why: Kettlebell swings allow us to strengthen numerous muscle groups at once, including the glutes, core, hamstrings and back. Our core and back help support us as we hit our strides or balance ourselves during certain sports. The hamstrings and glutes are vital to maintain good form. Mimicking an arm swing with a kettlebell is also critical for maintaining balance and momentum in our sport of choice.
How: Start by standing with the feet slightly side than hip-width. The kettlebell should be placed on the floor in front of you about an arm’s length away. Lean forward at the hips, and move butt backward. Next, grab the kettlebell’s handle with both hands, and pull the kettlebell straight back between the legs and behind you. Powerfully drive your feet into the floor and send the hips forward to swing the kettlebell to shoulder height. Allow the weight to lead you back down into the starting position. Repeat the exercise.
A great tip for this exercise is to ensure that you’re not squatting while swinging. The movement should be quicker, more powerful deadlift motion (hinging at the hips). Core engagement is also essential. Consider incorporating a plank position at the top of your swing. Feel the momentum of the kettlebell as you swing.